Hello From Grade 10 Reps

Dear Grade 10s, 

Hey Grade 10s! We’re your grade reps for this year: Madison, Irene and Kennedy. Welcome back to the returning students: it's great to see you all again. To the New Girls, welcome to HC! We cannot wait to meet you all and get to know you better, as well as help you get settled into HC. Here’s a little advice from us on how to make 2019/2020 the best year yet! 

Advice from Madison

**Records of crystals, kept here for reference:**
____________
This entry pairs a crystal structure of Sr2Tl3Hg6 with its calculated powder diffraction line list. Radiation: a wavelength of 1.5418 Å. Structure: DFT lattice parameters and positions (GGA-PBE).
Intensities are scaled so that the largest is 100.

Structure:
Lattice parameters (Å, degrees): 10.446 15.626 4.131 90.00 90.00 90.00
Space group Cmmm (No. 65)
Unique sites:
Sr  0.207  0.000  0.000 [4 per cell]
Tl  0.000  0.266  0.000 [4 per cell]
Tl  0.000  0.500  0.500 [2 per cell]
Hg  0.000  0.108  0.500 [4 per cell]
Hg  0.209  0.341  0.500 [8 per cell]

Peak list (10 most intense, 10 to 90 degrees two-theta, by angle)
| two_theta | I (rel.) | index |
| --- | --- | --- |
| 21.51 | 24 | 0 0 1 |
| 29.85 | 100 | 2 2 1 |
| 30.89 | 27 | 3 3 0 |
| 31.52 | 43 | 0 4 1 |
| 34.16 | 16 | 3 1 1 |
| 34.35 | 29 | 4 0 0 |
| 37.95 | 30 | 3 3 1 |
| 38.65 | 32 | 2 6 0 |
| 43.83 | 23 | 0 0 2 |
| 59.85 | 18 | 2 6 2 |

This entry pairs a crystal structure of Sr3Tl5Hg2 with its calculated powder diffraction line list. Radiation: a wavelength of 1.5418 Å. Structure: DFT lattice parameters and positions (GGA-PBE).
Intensities are scaled so that the largest is 100.

Structure:
Lattice parameters (Å, degrees): 6.989 17.894 5.521 90.00 90.00 90.00
Space group Cmmm (No. 65)
Unique sites:
Sr  0.000  0.000  0.000 [2 per cell]
Sr  0.000  0.328  0.500 [4 per cell]
Tl  0.000  0.212  0.000 [4 per cell]
Tl  0.000  0.500  0.000 [2 per cell]
Tl  0.233  0.500  0.500 [4 per cell]
Hg  0.000  0.138  0.500 [4 per cell]

Peak list (10 most intense, 10 to 90 degrees two-theta, by angle)
| two_theta | I (rel.) | index |
| --- | --- | --- |
| 19.57 | 42 | 1 3 0 |
| 25.48 | 30 | 2 0 0 |
| 25.63 | 22 | 0 4 1 |
| 27.40 | 22 | 2 2 0 |
| 29.96 | 22 | 0 6 0 |
| 31.92 | 18 | 2 2 1 |
| 32.44 | 78 | 0 0 2 |
| 36.46 | 100 | 2 4 1 |
| 40.99 | 26 | 1 7 1 |
| 60.50 | 45 | 2 4 3 |

This entry pairs a crystal structure of SrTlHg3 with its calculated powder diffraction line list. Radiation: a wavelength of 1.5418 Å. Structure: DFT lattice parameters and positions (GGA-PBE).
Intensities are scaled so that the largest is 100.

Structure:
Lattice parameters (Å, degrees): 7.5507 7.5507 6.4030 90.00 90.00 120.00
Space group P6_3/mmc (No. 194)
Unique sites:
Sr  0.3333  0.6667  0.2500 [2 per cell]
Tl  0.0000  0.0000  0.0000 [2 per cell]
Hg  0.2008  0.4015  0.7500 [6 per cell]

Peak list (10 most intense, 10 to 90 degrees two-theta, by angle)
| two_theta | I (rel.) | index |
| --- | --- | --- |
| 19.40 | 42 | 1 0 1 |
| 27.87 | 21 | 0 0 2 |
| 30.70 | 100 | 2 0 1 |
| 31.10 | 32 | 1 0 2 |
| 36.35 | 60 | 2 1 0 |
| 39.39 | 53 | 2 0 2 |
| 43.88 | 29 | 3 0 1 |
| 48.21 | 21 | 2 2 0 |
| 51.11 | 25 | 2 0 3 |
| 69.15 | 21 | 3 2 2 |
____________

Hi, I’m Madison, one of your grade reps for the 2019/2020 school year. I’m so thrilled to be representing such an awesome group of girls alongside Kennedy and Irene! As we embark on a new school year, the three of us are here to make your Grade Ten experience as enjoyable as possible. Here’s some advice to help you navigate through Havergal and make this year one to remember! First, some advice for the new girls; you will soon discover that the environment at Havergal is very friendly, welcoming, and supportive, so don’t be afraid to go up to someone and just say hi and introduce yourself.  Second, whether it’s figuring out who you are or the career path you want to pursue, keep in mind that it’s okay to not have everything figured out right now. Reach out to your classmates, teachers, and the tremendous resources at HC for advice and support. Use this year as an opportunity to explore and to get a better understanding of yourself and the person that you are or want to be. The next few years are going to fly by fast, so use this time to discover your talents or hone your interests by participating in one of the many clubs or sports teams at HC. 

Advice from Kennedy

Hi, I’m Kennedy, one of your grade reps for the 2019/2020 school year, and I can’t wait to see what this year has in store for all of us. It is our responsibility to make this year as fun for everyone as possible, so here is some advice to make that happen. Havergal is a very busy school with a lot of things going on all the time, this sometimes makes it difficult to balance all of your activities, sports, and school work. The key is time management. Time management is so important: you need to prioritize tasks and know when things are due and how much time you need to spend on certain things. Using your agenda will help you with organizing your time, because you write down everything that is due on the day it is due and see a weekly layout. It is also so important to keep yourself mentally healthy. Leaving time for self-care is so important and getting enough sleep every night is one of the best things you can do for yourself. It is also important to get exercise. Exercise helps release endorphins and clear your head. If you can stay organized and on top of your work, I can promise you will love Havergal just as much as I do. I hope that you can take these things into the 2019/2020 school year with you and that everyone has a fantastic school year! 

Advice from Irene

Hey guys, I’m Irene, one of our three grade reps this year. I’m super excited about this year and I hope all of you are, too. We don’t know how this year will turn out, but we should try and make the best of it. I think Grade 10 is the year to experiment with new things and expand on your interests. It's the year to get comfortable being outside of our comfort zones and take risks without fear of failing. Join a different club, try out for a different sport, play a different instrument, go on exchange in a different country, whatever it may be. Don’t try to escape from changes, challenges, mistakes or the unknown but, rather, embrace them. Overcoming and facing these things is part of how we learn. Exploring new things is also a good way to connect with people around us, no matter how different they are. I don’t know about you, but Grade 10 has come really fast which means there are only a few years left for us at HC. That being said, let's all make an effort to talk to people we’ve never talked to before and be inclusive. This is especially important in bringing our grade together as a whole and creating a friendly community for each other. 

We hope you guys have a fantastic school year and just remember that if you have any questions, concerns, suggestions, or just want someone to talk to, you can always come to us. Good luck!

Your Grade 10 Reps, 

Madison, Kennedy and Irene :)